Kamis, 29 Januari 2009

Black Out

Just got here one hour ago. Ahh,, Japan. What an amazing country. I wonder where is Max.
I try to send him a message, but he still doesn't answer me..

The lights turn on very bright. I walked across the street. Then, suddenly, the streets began to black out. Ow my GOD! All the lights turned off. And the most frightening is I forgot to bring my flashlight. Ow my GOD! Ow my GOD! Ow my GOD! I ran across the streets. I heard a voice just like the voice I heard from the alien in New York. They chase me everywhere I go. What must I do?? Ow,, What must I do!!!

Japan. October 24th, 3000. 20:59:59

There's an Answer

Whoa! There's a message. From Max Maroon. He just answered my message when I sent it 2 days ago. He said, he lives in Japan. He also said the situation in Japan just like here.. Oo.. Creepy..

He said he wants me to come to Japan to get together. What a brilliant idea. Ok.

# These calculated crystals were left in the entry by mistake
<<<
Computed powder diffractogram of PmMnCo2O8 for a wavelength of 1.5418 Å, from a PBE+U-relaxed structure.
Kinematic intensities with the Lorentz-polarization factor, no thermal factor.

The 10 most intense peaks (10° ≤ 2θ ≤ 80°), by angle:
2θ = 17.65°, intensity 12
2θ = 18.83°, intensity 19
2θ = 25.06°, intensity 100
2θ = 33.59°, intensity 61
2θ = 35.74°, intensity 19
2θ = 49.86°, intensity 56
2θ = 51.44°, intensity 15
2θ = 58.05°, intensity 11
2θ = 62.85°, intensity 18
2θ = 74.45°, intensity 11

Structure:
```
PmMnCo2O8
1.0
-3.553 3.553 3.148
3.553 -3.553 3.148
3.553 3.553 -3.148
Pm Mn Co O
1 1 2 8
Direct
0.000 0.000 0.000
0.250 0.750 0.500
0.500 0.500 0.000
0.750 0.250 0.500
0.323 0.138 0.815
0.323 0.508 0.185
0.390 0.061 0.329
0.492 0.677 0.815
0.732 0.061 0.671
0.862 0.677 0.185
>>>

So, the things I must do are :
  1. Find a sword, a wood design. I love the nature designs.
  2. Check the situation and condition outside.
  3. Be ready with a smoke bomb, first aid kit, and of course foods.
  4. Get to the New York Airlines Flight no. 233 without being caught by the aliens.
  5. Get to Japan.
  6. Find Max.
Must set all the things now, before the aliens do the invasions once more.

New York. October 23rd, 3000. 20:12:55

Selasa, 27 Januari 2009

Time To get Some Food

## Unrelated to this entry: materials data
+++
Structure and computed PXRD pattern of Pa2Ga2Pd3 (DFT lattice parameters and positions (GGA-PBE); Cu Kα (λ = 1.5418 Å)).

Peak list (12 most intense, 10° ≤ 2θ ≤ 80°, most intense first)
- hkl 3 1 -1, 2θ = 34.21°, I = 100
- hkl 1 1 2, 2θ = 39.97°, I = 52
- hkl 3 1 -2, 2θ = 38.40°, I = 44
- hkl 3 1 0, 2θ = 35.75°, I = 42
- hkl 0 2 0, 2θ = 44.68°, I = 36
- hkl 1 1 1, 2θ = 29.52°, I = 36
- hkl 4 0 0, 2θ = 37.49°, I = 30
- hkl 2 0 -3, 2θ = 39.42°, I = 26
- hkl 7 1 -2, 2θ = 67.17°, I = 17
- hkl 4 2 0, 2θ = 59.71°, I = 15
- hkl 2 2 -3, 2θ = 61.08°, I = 15
- hkl 4 0 -2, 2θ = 37.28°, I = 14

Structural model:
```
Pa2Ga2Pd3
1.0
10.4005 0.0000 0.0000
0.0000 4.0561 0.0000
-2.6501 0.0000 6.3383
Pa Ga Pd
4 4 6
Cartesian
0.7310 0.0000 1.6922
1.8191 2.0280 4.6461
5.9313 2.0280 1.6922
7.0193 0.0000 4.6461
-0.3466 0.0000 4.5276
2.8967 2.0280 1.8106
4.8537 2.0280 4.5276
8.0969 0.0000 1.8106
-1.3251 2.0280 3.1691
-1.2856 2.0280 5.9595
3.8357 0.0000 0.3788
3.8752 0.0000 3.1691
3.9146 0.0000 5.9595
9.0360 2.0280 0.3788
```

---

Structure and computed PXRD pattern of DyTmPt6 (DFT lattice parameters and positions (GGA-PBE); Cu Kα (λ = 1.5418 Å)).

Peak list (4 most intense, 10° ≤ 2θ ≤ 80°, most intense first)
- hkl 1 1 2, 2θ = 37.97°, I = 100
- hkl 2 0 0, 2θ = 44.13°, I = 49
- hkl 3 1 2, 2θ = 77.06°, I = 39
- hkl 2 2 0, 2θ = 64.18°, I = 33

Structural model:
```
DyTmPt6
1.0
4.1049 0.0000 0.0000
0.0000 4.1049 0.0000
0.0000 0.0000 8.2082
Dy Tm Pt
1 1 6
Cartesian
0.0000 0.0000 0.0000
0.0000 0.0000 4.1041
0.0000 2.0524 2.0699
0.0000 2.0524 6.1383
2.0524 0.0000 2.0699
2.0524 0.0000 6.1383
2.0524 2.0524 0.0000
2.0524 2.0524 4.1041
```

----------

This entry pairs a crystal structure of HgIF3 with its calculated powder X-ray diffraction pattern. Radiation: a wavelength of 1.5418 Å. Structure: DFT lattice parameters and positions (GGA-PBE).
Lines closer than 0.1° are merged.

Structure:
```
data_HgIF3
_cell_length_a 4.0038
_cell_length_b 8.1792
_cell_length_c 12.7286
_cell_angle_alpha 90.00
_cell_angle_beta 93.33
_cell_angle_gamma 90.00
_symmetry_space_group_name_H-M 'P 1'
_symmetry_Int_Tables_number 1
_symmetry_space_group_name_Hall 'P 1'
loop_
_atom_site_label
_atom_site_fract_x
_atom_site_fract_y
_atom_site_fract_z
_atom_site_occupancy
Hg1 0.2414 0.1227 0.4090 1
Hg2 0.2414 0.8773 0.9090 1
Hg3 0.7586 0.1227 0.0910 1
Hg4 0.7586 0.8773 0.5910 1
I1 0.2367 0.4703 0.6688 1
I2 0.2367 0.5297 0.1688 1
I3 0.7633 0.4703 0.8312 1
I4 0.7633 0.5297 0.3312 1
F1 0.2190 0.1049 0.1763 1
F2 0.2190 0.8951 0.6763 1
F3 0.2670 0.4663 0.4214 1
F4 0.2670 0.5337 0.9214 1
F5 0.3771 0.1602 0.9696 1
F6 0.3771 0.8398 0.4696 1
F7 0.6229 0.1602 0.5304 1
F8 0.6229 0.8398 0.0304 1
F9 0.7330 0.4663 0.0786 1
F10 0.7330 0.5337 0.5786 1
F11 0.7810 0.1049 0.3237 1
F12 0.7810 0.8951 0.8237 1
```

Peak list (10 most intense, 2θ = 10–90°, by angle)
| 2θ (°) | intensity | hkl |
| --- | --- | --- |
| 12.9 | 57 | 0 1 1 |
| 17.7 | 88 | 0 1 2 |
| 22.8 | 95 | 0 2 1 |
| 23.7 | 59 | 0 1 3 |
| 27.9 | 100 | 1 1 -2 |
+++

Haah.. The alien just went away from the building. It's time to get some food.

I have to ready with everything. 
Weapon, ready.
Empty bag, ready.
Jacket, ready.

Ok, time to get going.. Hope they won't see me..

New York. October 21st, 3000. 14:10:47

The Aliens Going into Mall

I was checking the situation outside the house. I saw through the window. Then I saw something. I don't know what it is. It moved so fast. I closed the window with the curtain. Then, I peep through a little hole under the window. 

I saw something strange. Its alive. If you see it, you maybe guess its a raptor. A very clever dinosaur. But its different. I think it is an alien. 

The alien went into the mall. What a weird thing to do. It makes me laugh for a minute. Then, I started to think why the alien went into the mall. Hhmmm. Suddenly, the alien came out from the building and brought a sack of food. Since I don't have any food supply, I think I can take some from that building. Thanks, unknown alien.

New York. October 21st, 3000. 14:04:55


    Hi, I'm Seth Summers.

Thank God that I could find this computer. This is the last computer in the country that I had found. This is also my first message after the tragedy. Yeah, the tragedy. 

The Mankind didn't take care of the earth until some aliens came to destroy the earth. The earth was so broken. The aliens still do their invasion in our home, to take everything. They killed everybody. My dog, friends, even my parents.

Now, I'm alone. I still live in New York, America. For someone out there who read this message, send back a reply to me. I need a lot of job to do. I have to find you who reply me before they kill you, then I have to make so many plan to do to fight those aliens. And the last one, I have to save the earth. To make the flowers blossom. To make the animals and mankind live in peace. I'm not playing. 

New York. October 21st, 3000. 12:58:03